<<<
First-principles (PBE-GGA) data for ErMgGa2Cu2 after structural relaxation, as listed in Alexandria via LeMat-Bulk.

Properties
energy relative to the elements = -378 meV/atom
symmetry = P-3m1, No. 164
final energy = -3.7784 eV/atom

The structure in CIF format:
```
data_ErMgGa2Cu2
_space_group_name_H-M_alt 'P 1'
_space_group_IT_number 1
_cell_length_a 4.243
_cell_length_b 4.243
_cell_length_c 6.758
_cell_angle_alpha 90.00
_cell_angle_beta 90.00
_cell_angle_gamma 120.00
loop_
_space_group_symop_operation_xyz
'x,y,z'
loop_
_atom_site_label
_atom_site_fract_x
_atom_site_fract_y
_atom_site_fract_z
_atom_site_occupancy
Er1 0.000 0.000 0.000 1
Mg1 0.000 0.000 0.500 1
Ga1 0.667 0.333 0.727 1
Ga2 0.333 0.667 0.273 1
Cu1 0.667 0.333 0.294 1
Cu2 0.333 0.667 0.706 1
```
>>>

The reader should return the whole of the calculation results further up without altering anything.

First-principles (PBE-GGA) data for ErMgGa2Cu2 after structural relaxation, as listed in Alexandria via LeMat-Bulk.

Properties
energy relative to the elements = -378 meV/atom
symmetry = P-3m1, No. 164
final energy = -3.7784 eV/atom

The structure in CIF format:
```
data_ErMgGa2Cu2
_space_group_name_H-M_alt 'P 1'
_space_group_IT_number 1
_cell_length_a 4.243
_cell_length_b 4.243
_cell_length_c 6.758
_cell_angle_alpha 90.00
_cell_angle_beta 90.00
_cell_angle_gamma 120.00
loop_
_space_group_symop_operation_xyz
'x,y,z'
loop_
_atom_site_label
_atom_site_fract_x
_atom_site_fract_y
_atom_site_fract_z
_atom_site_occupancy
Er1 0.000 0.000 0.000 1
Mg1 0.000 0.000 0.500 1
Ga1 0.667 0.333 0.727 1
Ga2 0.333 0.667 0.273 1
Cu1 0.667 0.333 0.294 1
Cu2 0.333 0.667 0.706 1
```